(Wanted)
Next, quote the calculation results further down without additions.

(Data)
'''
Entry 1:
Below is crystalline CeHoPuTc at its relaxed geometry, with properties calculated at the GGA-PBE level.

The structure in CIF format:
```
data_CeHoPuTc
_cell_length_a 7.090
_cell_length_b 7.090
_cell_length_c 7.090
_cell_angle_alpha 90.00
_cell_angle_beta 90.00
_cell_angle_gamma 90.00
_symmetry_space_group_name_H-M 'F -4 3 m'
_symmetry_Int_Tables_number 216
_symmetry_space_group_name_Hall 'F -4 2 3'
loop_
_atom_site_label
_atom_site_fract_x
_atom_site_fract_y
_atom_site_fract_z
Ce1 0.000 0.000 0.000
Ho1 0.250 0.250 0.750
Pu1 0.250 0.250 0.250
Tc1 0.000 0.000 0.500
```

ΔE_f ... 0.30 eV per formula unit
Total DFT energy (no corrections) ... -8.726 eV per atom
Magnetic moment ... 1.59 μB per atom
Crystal system ... cubic

***

Entry 2:
Below is crystalline CeHo3Pu2Te6 at its relaxed geometry, with properties calculated at the GGA-PBE level.

The structure in CIF format:
```
data_CeHo3Pu2Te6
_cell_length_a 19.247
_cell_length_b 4.363
_cell_length_c 8.850
_cell_angle_alpha 90.00
_cell_angle_beta 104.38
_cell_angle_gamma 90.00
_symmetry_space_group_name_H-M 'C 1 2/m 1'
_symmetry_Int_Tables_number 12
loop_
_symmetry_equiv_pos_as_xyz
'x,y,z'
'-x,-y,-z'
'-x,y,-z'
'x,-y,z'
'x+1/2,y+1/2,z'
'-x+1/2,-y+1/2,-z'
'-x+1/2,y+1/2,-z'
'x+1/2,-y+1/2,z'
loop_
_atom_site_label
_atom_site_fract_x
_atom_site_fract_y
_atom_site_fract_z
Ce1 0.000 0.000 0.000
Ho1 0.000 0.000 0.500
Ho2 0.166 0.500 0.832
Pu1 0.166 0.500 0.331
Te1 0.002 0.500 0.742
Te2 0.165 0.000 0.586
Te3 0.170 0.000 0.079
```

Formation energy from raw total energies ... -1.242 eV per atom
Total DFT energy (no corrections) ... -6.841 eV per atom
Magnetic moment ... 1.10 μB per atom
Crystal system ... monoclinic

***

Entry 3:
Below is crystalline Ce2Ho3PuTe6 at its relaxed geometry, with properties calculated at the GGA-PBE level.

The structure in CIF format:
```
data_Ce2Ho3PuTe6
_cell_length_a 19.290
_cell_length_b 4.369
_cell_length_c 8.879
_cell_angle_alpha 90.00
_cell_angle_beta 104.37
_cell_angle_gamma 90.00
_symmetry_space_group_name_H-M 'C 1 2/m 1'
_symmetry_Int_Tables_number 12
loop_
_symmetry_equiv_pos_as_xyz
'x,y,z'
'-x,-y,-z'
'-x,y,-z'
'x,-y,z'
'x+1/2,y+1/2,z'
'-x+1/2,-y+1/2,-z'
'-x+1/2,y+1/2,-z'
'x+1/2,-y+1/2,z'
loop_
_atom_site_label
_atom_site_fract_x
_atom_site_fract_y
_atom_site_fract_z
Ce1 0.167 0.000 0.334
Ho1 0.000 0.500 0.500
Ho2 0.167 0.000 0.834
Pu1 0.000 0.500 0.000
Te1 0.003 0.000 0.747
Te2 0.164 0.500 0.591
Te3 0.168 0.500 0.076
```

Formation energy from raw total energies ... -1.283 eV per atom
Total DFT energy (no corrections) ... -6.182 eV per atom
Magnetic moment ... 0.71 μB per atom
Crystal system ... monoclinic

----------

KTh2TeO8: optimized geometry, PBE-GGA.

Lattice parameters (Å, degrees): 5.493 4.991 7.333 73.00 94.88 101.22
Positions (direct):
Th: 0.543 0.367 0.783
Th: 0.457 0.633 0.217
O: 0.943 0.284 0.764
O: 0.733 0.715 0.928
O: 0.732 0.091 0.113
O: 0.268 0.909 0.887
O: 0.512 0.730 0.510
O: 0.267 0.285 0.072
O: 0.057 0.716 0.236
O: 0.488 0.270 0.490
K: 0.000 0.000 0.500
Te: 0.000 0.000 0.000

Computed properties:
**Calculated density**: 6.68 g cm⁻³
**Uncorrected energy**: -7.22 eV/atom

---

Zn2CuP: optimized geometry, PBE-GGA.

Lattice parameters (Å, degrees): 8.612 8.612 8.612 18.69 18.69 18.69
Positions (direct):
Cu: 0.250 0.250 0.250
Zn: 0.503 0.503 0.503
Zn: 0.997 0.997 0.997
P: 0.750 0.750 0.750

Computed properties:
**Calculated density**: 6.53 g cm⁻³
**Uncorrected energy**: -2.84 eV/atom

---

Li3Ge5Cl12: optimized geometry, PBE-GGA.

Lattice parameters (Å, degrees): 14.098 14.098 14.098 109.47 109.47 109.47
Positions (direct):
Cl: 0.828 0.378 0.524
Cl: 0.196 0.146 0.524
Cl: 0.878 0.354 0.050
Cl: 0.378 0.550 0.854
Cl: 0.696 0.024 0.646
Cl: 0.622 0.450 0.146
Cl: 0.024 0.696 0.146
Cl: 0.696 0.672 0.550
Cl: 0.524 0.878 0.828
Cl: 0.950 0.146 0.122
Cl: 0.196 0.050 0.172
Cl: 0.476 0.122 0.172
Cl: 0.672 0.696 0.050
Cl: 0.378 0.828 0.024
Cl: 0.450 0.828 0.304
Cl: 0.172 0.550 0.196
Cl: 0.804 0.950 0.828
Cl: 0.050 0.196 0.672
'''

(Result)
Entry 1:
Below is crystalline CeHoPuTc at its relaxed geometry, with properties calculated at the GGA-PBE level.

The structure in CIF format:
```
data_CeHoPuTc
_cell_length_a 7.090
_cell_length_b 7.090
_cell_length_c 7.090
_cell_angle_alpha 90.00
_cell_angle_beta 90.00
_cell_angle_gamma 90.00
_symmetry_space_group_name_H-M 'F -4 3 m'
_symmetry_Int_Tables_number 216
_symmetry_space_group_name_Hall 'F -4 2 3'
loop_
_atom_site_label
_atom_site_fract_x
_atom_site_fract_y
_atom_site_fract_z
Ce1 0.000 0.000 0.000
Ho1 0.250 0.250 0.750
Pu1 0.250 0.250 0.250
Tc1 0.000 0.000 0.500
```

ΔE_f ... 0.30 eV per formula unit
Total DFT energy (no corrections) ... -8.726 eV per atom
Magnetic moment ... 1.59 μB per atom
Crystal system ... cubic

***

Entry 2:
Below is crystalline CeHo3Pu2Te6 at its relaxed geometry, with properties calculated at the GGA-PBE level.

The structure in CIF format:
```
data_CeHo3Pu2Te6
_cell_length_a 19.247
_cell_length_b 4.363
_cell_length_c 8.850
_cell_angle_alpha 90.00
_cell_angle_beta 104.38
_cell_angle_gamma 90.00
_symmetry_space_group_name_H-M 'C 1 2/m 1'
_symmetry_Int_Tables_number 12
loop_
_symmetry_equiv_pos_as_xyz
'x,y,z'
'-x,-y,-z'
'-x,y,-z'
'x,-y,z'
'x+1/2,y+1/2,z'
'-x+1/2,-y+1/2,-z'
'-x+1/2,y+1/2,-z'
'x+1/2,-y+1/2,z'
loop_
_atom_site_label
_atom_site_fract_x
_atom_site_fract_y
_atom_site_fract_z
Ce1 0.000 0.000 0.000
Ho1 0.000 0.000 0.500
Ho2 0.166 0.500 0.832
Pu1 0.166 0.500 0.331
Te1 0.002 0.500 0.742
Te2 0.165 0.000 0.586
Te3 0.170 0.000 0.079
```

Formation energy from raw total energies ... -1.242 eV per atom
Total DFT energy (no corrections) ... -6.841 eV per atom
Magnetic moment ... 1.10 μB per atom
Crystal system ... monoclinic

***

Entry 3:
Below is crystalline Ce2Ho3PuTe6 at its relaxed geometry, with properties calculated at the GGA-PBE level.

The structure in CIF format:
```
data_Ce2Ho3PuTe6
_cell_length_a 19.290
_cell_length_b 4.369
_cell_length_c 8.879
_cell_angle_alpha 90.00
_cell_angle_beta 104.37
_cell_angle_gamma 90.00
_symmetry_space_group_name_H-M 'C 1 2/m 1'
_symmetry_Int_Tables_number 12
loop_
_symmetry_equiv_pos_as_xyz
'x,y,z'
'-x,-y,-z'
'-x,y,-z'
'x,-y,z'
'x+1/2,y+1/2,z'
'-x+1/2,-y+1/2,-z'
'-x+1/2,y+1/2,-z'
'x+1/2,-y+1/2,z'
loop_
_atom_site_label
_atom_site_fract_x
_atom_site_fract_y
_atom_site_fract_z
Ce1 0.167 0.000 0.334
Ho1 0.000 0.500 0.500
Ho2 0.167 0.000 0.834
Pu1 0.000 0.500 0.000
Te1 0.003 0.000 0.747
Te2 0.164 0.500 0.591
Te3 0.168 0.500 0.076
```

Formation energy from raw total energies ... -1.283 eV per atom
Total DFT energy (no corrections) ... -6.182 eV per atom
Magnetic moment ... 0.71 μB per atom
Crystal system ... monoclinic

----------

KTh2TeO8: optimized geometry, PBE-GGA.

Lattice parameters (Å, degrees): 5.493 4.991 7.333 73.00 94.88 101.22
Positions (direct):
Th: 0.543 0.367 0.783
Th: 0.457 0.633 0.217
O: 0.943 0.284 0.764
O: 0.733 0.715 0.928
O: 0.732 0.091 0.113
O: 0.268 0.909 0.887
O: 0.512 0.730 0.510
O: 0.267 0.285 0.072
O: 0.057 0.716 0.236
O: 0.488 0.270 0.490
K: 0.000 0.000 0.500
Te: 0.000 0.000 0.000

Computed properties:
**Calculated density**: 6.68 g cm⁻³
**Uncorrected energy**: -7.22 eV/atom

---

Zn2CuP: optimized geometry, PBE-GGA.

Lattice parameters (Å, degrees): 8.612 8.612 8.612 18.69 18.69 18.69
Positions (direct):
Cu: 0.250 0.250 0.250
Zn: 0.503 0.503 0.503
Zn: 0.997 0.997 0.997
P: 0.750 0.750 0.750

Computed properties:
**Calculated density**: 6.53 g cm⁻³
**Uncorrected energy**: -2.84 eV/atom

---

Li3Ge5Cl12: optimized geometry, PBE-GGA.

Lattice parameters (Å, degrees): 14.098 14.098 14.098 109.47 109.47 109.47
Positions (direct):
Cl: 0.828 0.378 0.524
Cl: 0.196 0.146 0.524
Cl: 0.878 0.354 0.050
Cl: 0.378 0.550 0.854
Cl: 0.696 0.024 0.646
Cl: 0.622 0.450 0.146
Cl: 0.024 0.696 0.146
Cl: 0.696 0.672 0.550
Cl: 0.524 0.878 0.828
Cl: 0.950 0.146 0.122
Cl: 0.196 0.050 0.172
Cl: 0.476 0.122 0.172
Cl: 0.672 0.696 0.050
Cl: 0.378 0.828 0.024
Cl: 0.450 0.828 0.304
Cl: 0.172 0.550 0.196
Cl: 0.804 0.950 0.828
Cl: 0.050 0.196 0.672